== Request ==
Now find the line underneath that holds "33.94", then repeat that line and all lines after it there.

== Listing ==
____________
Computed PXRD pattern
Compound: LiAc2RuO8
Radiation: Cu Kα (weighted mean of Kα1 and Kα2)
Structure: the GGA-PBE geometry in Alexandria
Kinematic intensities with the Lorentz-polarization factor, no thermal factor.

Crystal structure
```
data_LiAc2RuO8
_chemical_formula_sum 'Li1 Ac2 Ru1 O8'
_space_group_name_H-M_alt 'P -1'
_space_group_IT_number 2
_space_group_name_Hall '-P 1'
_cell_length_a 4.492
_cell_length_b 5.307
_cell_length_c 7.364
_cell_angle_alpha 94.82
_cell_angle_beta 91.17
_cell_angle_gamma 96.34
loop_
_atom_site_label
_atom_site_fract_x
_atom_site_fract_y
_atom_site_fract_z
Li1 0.000 0.000 0.000
Ac1 0.277 0.504 0.225
Ru1 0.000 0.000 0.500
O1 0.101 0.023 0.252
O2 0.162 0.340 0.557
O3 0.255 0.638 0.924
O4 0.404 0.907 0.540
```

Principal peaks in the range 2θ from 10° to 80°, by angle:
2θ (°)  I (rel.)  h k l
16.87  742  0 1 0
23.02  394  1 0 -1
23.65  1000  1 0 1
27.94  579  -1 1 1
28.45  640  0 1 -2
29.39  377  1 1 -1
30.92  410  0 1 2
31.11  416  1 1 1
34.13  487  0 2 0
40.47  420  -1 2 1

---

Computed PXRD pattern
Compound: Er3Th2C4
Radiation: Cu Kα (weighted mean of Kα1 and Kα2)
Structure: the GGA-PBE geometry in Alexandria
Kinematic intensities with the Lorentz-polarization factor, no thermal factor.

Crystal structure
```
data_Er3Th2C4
_chemical_formula_sum 'Er6 Th4 C8'
_space_group_name_H-M_alt 'C 1 2/m 1'
_space_group_IT_number 12
_space_group_name_Hall '-C 2y'
_cell_length_a 12.021
_cell_length_b 3.603
_cell_length_c 8.974
_cell_angle_alpha 90.00
_cell_angle_beta 117.87
_cell_angle_gamma 90.00
loop_
_atom_site_label
_atom_site_fract_x
_atom_site_fract_y
_atom_site_fract_z
Er1 0.000 0.000 0.000
Er2 0.211 0.000 0.824
Th1 0.099 0.500 0.381
C1 0.100 0.500 0.897
C2 0.199 0.000 0.309
```

Principal peaks in the range 2θ from 10° to 80°, by angle:
2θ (°)  I (rel.)  h k l
29.89  312  2 0 -3
30.04  1000  4 0 -1
33.94  277  2 0 2
35.19  529  3 1 -2
49.58  167  1 1 -4
49.81  195  5 1 0
50.67  96  0 2 0
59.94  94  2 2 -3
60.04  197  4 2 -1
62.39  96  2 2 2

---

Computed PXRD pattern
Compound: Cu2Bi2RhO6
Radiation: Cu Kα (weighted mean of Kα1 and Kα2)
Structure: the GGA-PBE geometry in Alexandria
Kinematic intensities with the Lorentz-polarization factor, no thermal factor.

Crystal structure
```
data_Cu2Bi2RhO6
_chemical_formula_sum 'Cu6 Bi6 Rh3 O18'
_space_group_name_H-M_alt 'R -3 m'
_space_group_IT_number 166
_space_group_name_Hall '-R 3 2"'
_cell_length_a 5.9030
_cell_length_b 5.9030
_cell_length_c 15.3184
_cell_angle_alpha 90.00
_cell_angle_beta 90.00
_cell_angle_gamma 120.00
loop_
_atom_site_label
_atom_site_fract_x
_atom_site_fract_y
_atom_site_fract_z
Cu1 0.0000 0.0000 0.0857
Bi1 0.0000 0.0000 0.3015
Rh1 0.0000 0.0000 0.5000
O1 0.0397 0.5199 0.2567
```

Principal peaks in the range 2θ from 10° to 80°, by angle:
2θ (°)  I (rel.)  h k l
17.37  179  0 0 3
18.30  155  1 0 1
30.28  1000  1 1 0
34.12  714  0 1 5
35.12  175  1 1 3
46.26  348  2 0 5
53.80  207  3 0 0
56.29  391  1 2 5
62.99  183  2 2 0
73.61  160  3 1 5

---

Computed PXRD pattern
Compound: Pm3Er7
Radiation: Cu Kα (weighted mean of Kα1 and Kα2)
Structure: the GGA-PBE geometry in Alexandria
Kinematic intensities with the Lorentz-polarization factor, no thermal factor.

Crystal structure
```
data_Pm3Er7
_chemical_formula_sum 'Pm3 Er7'
_space_group_name_H-M_alt 'P -1'
_space_group_IT_number 2
_space_group_name_Hall '-P 1'
_cell_length_a 5.014
_cell_length_b 7.107
_cell_length_c 9.387
_cell_angle_alpha 100.92
_cell_angle_beta 105.48
_cell_angle_gamma 90.14
loop_
_atom_site_label
_atom_site_fract_x
_atom_site_fract_y
_atom_site_fract_z
Pm1 0.000 0.000 0.000
Pm2 0.199 0.600 0.398
Er1 0.000 0.500 0.000
Er2 0.200 0.100 0.399
Er3 0.400 0.199 0.800
Er4 0.401 0.700 0.801
```

Principal peaks in the range 2θ from 10° to 80°, by angle:
2θ (°)  I (rel.)  h k l
30.86  1000  1 0 2
35.78  506  0 2 2
51.47  241  0 0 5
51.57  120  2 2 1
61.16  72  1 -4 3
61.26  285  1 4 1
61.34  71  3 0 1
64.18  31  2 -4 0
64.34  92  2 0 4
75.78  38  0 4 4

---

Computed PXRD pattern
____________

== Outcome ==
33.94  277  2 0 2
35.19  529  3 1 -2
49.58  167  1 1 -4
49.81  195  5 1 0
50.67  96  0 2 0
59.94  94  2 2 -3
60.04  197  4 2 -1
62.39  96  2 2 2

---

Computed PXRD pattern
Compound: Cu2Bi2RhO6
Radiation: Cu Kα (weighted mean of Kα1 and Kα2)
Structure: the GGA-PBE geometry in Alexandria
Kinematic intensities with the Lorentz-polarization factor, no thermal factor.

Crystal structure
```
data_Cu2Bi2RhO6
_chemical_formula_sum 'Cu6 Bi6 Rh3 O18'
_space_group_name_H-M_alt 'R -3 m'
_space_group_IT_number 166
_space_group_name_Hall '-R 3 2"'
_cell_length_a 5.9030
_cell_length_b 5.9030
_cell_length_c 15.3184
_cell_angle_alpha 90.00
_cell_angle_beta 90.00
_cell_angle_gamma 120.00
loop_
_atom_site_label
_atom_site_fract_x
_atom_site_fract_y
_atom_site_fract_z
Cu1 0.0000 0.0000 0.0857
Bi1 0.0000 0.0000 0.3015
Rh1 0.0000 0.0000 0.5000
O1 0.0397 0.5199 0.2567
```

Principal peaks in the range 2θ from 10° to 80°, by angle:
2θ (°)  I (rel.)  h k l
17.37  179  0 0 3
18.30  155  1 0 1
30.28  1000  1 1 0
34.12  714  0 1 5
35.12  175  1 1 3
46.26  348  2 0 5
53.80  207  3 0 0
56.29  391  1 2 5
62.99  183  2 2 0
73.61  160  3 1 5

---

Computed PXRD pattern
Compound: Pm3Er7
Radiation: Cu Kα (weighted mean of Kα1 and Kα2)
Structure: the GGA-PBE geometry in Alexandria
Kinematic intensities with the Lorentz-polarization factor, no thermal factor.

Crystal structure
```
data_Pm3Er7
_chemical_formula_sum 'Pm3 Er7'
_space_group_name_H-M_alt 'P -1'
_space_group_IT_number 2
_space_group_name_Hall '-P 1'
_cell_length_a 5.014
_cell_length_b 7.107
_cell_length_c 9.387
_cell_angle_alpha 100.92
_cell_angle_beta 105.48
_cell_angle_gamma 90.14
loop_
_atom_site_label
_atom_site_fract_x
_atom_site_fract_y
_atom_site_fract_z
Pm1 0.000 0.000 0.000
Pm2 0.199 0.600 0.398
Er1 0.000 0.500 0.000
Er2 0.200 0.100 0.399
Er3 0.400 0.199 0.800
Er4 0.401 0.700 0.801
```

Principal peaks in the range 2θ from 10° to 80°, by angle:
2θ (°)  I (rel.)  h k l
30.86  1000  1 0 2
35.78  506  0 2 2
51.47  241  0 0 5
51.57  120  2 2 1
61.16  72  1 -4 3
61.26  285  1 4 1
61.34  71  3 0 1
64.18  31  2 -4 0
64.34  92  2 0 4
75.78  38  0 4 4

---

Computed PXRD pattern